Privacy policy


A. Introduction

  1. This Privacy Notice explains what we do with your personal data and applies to the registration and processing of all personal data you provide in any way to the following companies: PLC CO.BR.HA. and its affiliated companies.
  2. It describes how we collect, use and process your personal data and how we comply with our legal obligations to you in doing so. PLC CO.BR.HA. attaches the utmost importance to the privacy of your personal data and will only use it for the purposes described in this Privacy Notice.
  3. This Privacy Notice applies to the personal data of our website users, customers, prospects, suppliers, business partners, consumers, visitors to our brewery and other people we might contact.
  4. In view of relevant data protection legislation, including but not limited to the General Data Protection Regulation (GDPR) 2016/679, the company responsible for your personal data is PLC CO.BR.HA.
  5. NV CO.BR.HA has the right to amend this Privacy Notice at any time. Any amendment to the Privacy Notice will be announced on this website. The most up-to-date Privacy Notice can be found on this website at all times.
  6. If any provision of this Privacy Notice is wholly or partly void, voidable or contrary to law, it shall be deemed to be isolated and inapplicable. In such a case, PLC CO.BR.HA. will replace the provision in question with a provision of similar effect that is not wholly or partially void, voidable or in conflict with the law. The other provisions of the Privacy Notice will remain in full force and effect.
  7. This Privacy Notice is governed by Belgian law. The court in Leuven is competent to take cognisance of any disputes.

B. Definitions

  • Personal data: any information relating to an identified or identifiable natural person.
  • Processing: an operation or set of operations involving personal data or a set of personal data whether or not carried out by automated means, such as collection, structuring, storage, adaptation or alteration, retrieval, consultation, use, disclosure by transmission, dissemination or otherwise making available, combination, erasure or destruction of data.
  • Controller: a natural or legal person, public authority, agency or other body which, alone or jointly with others, determines the purposes and means of processing personal data.
  • Processor: a natural or legal person, public authority, agency or other body that processes personal data on behalf of the controller.
  • Data subject: a natural person who can be directly or indirectly identified from data, in particular from an identifier such as a name, an identification number, an online identifier or one or more factors specific to his or her physical, genetic, mental, economic, cultural or social identity.
  • Customers: this category includes our customers and others to whom PLC CO.BR.HA. provides services in the course of its business activities.
  • Suppliers: refers to partners and companies and independent contractors and freelancers providing services to PLC CO.BR.HA. PLC CO.BR.HA. requires suppliers to communicate the relevant parts of this Privacy Notice to their employees.
  • Consent: any freely given, specific, informed and unambiguous expression of will whereby the data subject, by means of a statement or an unambiguous active act, accepts the processing of personal data concerning him/her.
  • Breach: a personal data security breach that results in the accidental or unlawful destruction, loss, alteration or unauthorised disclosure of, or unauthorised access to, personal data transmitted, stored or otherwise processed.
  • General Data Protection Regulation (AVG): a statutory instrument of the European Union to harmonise European data protection laws. The regulation is applicable since 25 May 2018 and any reference to it should be interpreted to include any national legislation implementing it.

C. From whom are personal data processed?

  1. Personal data of our customers, prospects, suppliers, visitors or other persons directly contacting CO.BR.HA. In the context of our contacts with you and in the performance of the agreement we have with you, we collect and process your personal data. In addition, we may also process personal data of your company representatives, employees and/or independent workers that you provide to us to enable us to contact you or to perform the agreement we have with you. If you provide us with the personal data of your representatives, staff members and other persons, you should inform them of the existence and content of this Privacy Notice. More specifically, the personal data we process relates to the following:

    • Identification data such as name, first name, …;
    • Contact details such as phone number, e-mail address, ...;
    • Financial information such as bank account number, ...;
    • Footage from surveillance cameras in the car park and brewery; In addition, personal data of customers and prospects may be collected directly from you when you make purchases or place orders with PLC CO.BR.HA., during promotional campaigns or an event organised by PLC CO.BR.HA. (competitions, presence of PLC CO.BR.HA. at fairs and other events, ...).
  2. Personal data of our website users When you visit our website, we collect the following personal data from you:

    • Your IP address;
    • Cookies. Cookies are small files stored on your computer by your browser that allow us to obtain certain information about your use of our website (choice of language, duration of your visit to the page, preferences, etc.). They facilitate navigation on our website. You can find more information in our 'cookie policy' via the link below Cookies

D. How do we collect your personal data?

  1. Personal data you provide to us:

    • Leaving your details on the Brewery Haacht website or via a form, as part of the commercial process;
    • Where you proactively contact us by phone or email;
    • Where we receive a business card from you;
    • Footage obtained from a surveillance camera;
    • ...
  2. Personal data we receive from other sources:

    • Our customers may share personal information about you with us;
    • When you are mentioned as a customer on an attendee list at relevant events;
    • ...
  3. Personal data we collect through our website:

    • We collect a limited amount of data about our website users, which we use to help us improve your experience of our website and manage our services. This includes, for example, information about how you use our website, the frequency with which you visit our website, the language in which you view our website and the times when our website is most popular;
    • We collect your data automatically via cookies.

E. For what purposes do we use your personal data?

  1. Personal data provided by you to NV CO.BR.HA will be processed for the purpose:
    • Checking this data for completeness and accuracy;
    • Allowing you to use the website and services of PLC CO.BR.HA.;
    • Informing you about similar products and/or services of PLC CO.BR.HA.;
    • Offering our products and services and the proper performance of agreements;
    • Manage our operations, for administrative purposes, to comply with legal obligations, to manage complaints and enquiries, ...;
    • Inform you about and/or warn you of improper use and/or misuse of the website;
    • Inform third parties about and/or warn them of improper use and/or misuse by you of PLC CO.BR.HA.'s website, to the extent necessary to counter the improper use or misuse;
    • Provide them to processors engaged by PLC CO.BR.HA. to perform tasks;
    • To use and pass them on to clients, relations, subcontractors of PLC CO.BR.HA., government bodies;
    • Provide it to group companies affiliated to PLC CO.BR.HA., to the effect that your data will (also) be included in the database of these affiliated group companies;
    • Securing immovable and movable property of PLC CO.BR.HA.;
    • Enabling us to defend ourselves in court;
  2. You may be given the opportunity to indicate that your personal data may also be used to inform you by e-mail, SMS or any other electronic means of communication about products and services, not equal or similar to the services of PLC CO.BR.HA. including the products and services of the partners carefully selected by PLC CO.BR.HA. You may terminate your granted consent at any time by sending an e-mail to
  3. If your data is used by PLC CO.BR.HA. to inform you by e-mail, SMS or any other electronic means of communication about similar products and services offered by PLC CO.BR.HA., you may object at any time by sending an e-mail to ..... requesting that your data is no longer used for this purpose.
  4. If your data is provided to group companies affiliated to PLC CO.BR.HA. and the data is (also) included in the database of these group companies, this Privacy Notice will apply to the processing of your data by these group companies. Provided that where PLC CO.BR.HA. appears, the name of the relevant group company should be read.

F. What is the legal basis for processing your personal data?

We use and process your personal data only if one of the following conditions is met:

  • Agreement: We process your personal data based on the agreement you have entered into with us.
  • The legitimate interest: Your personal data is processed on the basis of legitimate interest e.g. when using surveillance cameras, collecting and recording your IP address to secure our website, ...
  • The law: We are legally obliged to process certain personal data and, if necessary, to communicate it to the competent authorities.
  • The consent: We have your free and express permission to contact you for direct marketing purposes.

G. With whom do we share your personal data?

  • Staff Only employees who need access to the personal data for the performance of their professional duties are granted access to it. They act under the supervision and responsibility of PLC CO.BR.HA.

  • Suppliers We use third-party suppliers to undertake certain processing so that we can offer you our products and services.

  • Authorities When legally obliged to do so, we may provide your personal data to audit authorities, tax authorities and investigative services.

  • Customers and prospects

  • Affiliated group companies

H. Where do we store and process your personal data?

Your personal data will not be transferred outside the European Union and/or the European Economic Area. Should PLC CO.BR.HA. intend to store and/or process them outside the EU or EEA, we will explicitly notify you and ensure that the same level of protection is guaranteed.

I. How long do we keep your personal data?

We keep your personal data only to the extent necessary to fulfil the purpose of processing. Given that the need to retain personal data depends on the type of personal data and the purpose of processing, retention periods can vary considerably. These are the criteria we rely on to determine retention periods:

  • How long do we need the personal data to provide the service requested or to perform the agreement?
  • Have we established and announced a specific retention period?
  • Have we obtained permission to extend the retention period?
  • Are we subject to a legal, contractual or similar obligation?
  • Should personal data be kept longer in the context of a possible dispute?

Once we no longer need your personal data to fulfil the intended purpose and/or we are not legally obliged to keep them, we will permanently delete them or, if this proves impossible, we will anonymise them in our system.

J. What are your rights?

  • Right to information You have the right to be informed about the processing we carry out, your rights relating to it and the exercise of these rights at the latest at the time of collection of your personal data. That is why this Privacy Notice has been prepared.

  • Right of inspection You have access to the data that PLC CO.BR.HA. processes about you and you also have the right to inspect this personal data. At your request, we will provide you with a free copy of the personal data we process about you.

  • Right of rectification You have the right to request the rectification of incorrect, incomplete, inappropriate or outdated personal data.

  • Right to be forgotten In certain circumstances, you have the right to have the personal data we hold about you erased, for example if the personal data is no longer necessary for the purposes for which it was collected or if you have withdrawn your consent and there is no other legal basis for the processing.

  • Right of transferability With regard to personal data processed on the basis of your consent or because of their necessity for the provision of the requested products or services, PLC CO.BR.HA. will, at your request and to the extent technically feasible, make available to you or the third party you have designated in a digital, readable and structured format, a copy of the personal data you have transmitted. This right is limited to the personal data you yourself have made available to the controller.

  • Right to restriction of processing You have the right to request the restriction of the processing of your personal data.

  • Right to withdraw your consent If the processing is based on your consent, you have the right to withdraw that consent at any time.

  • Right to object to certain processing operations If you disagree with the way PLC CO.BR.HA. processes certain personal data on the basis of legitimate interest, you have the right to object. You also have the right to challenge the processing of your personal data for direct marketing purposes, if you no longer wish to receive such communications from us. Your request will be considered as soon as possible, after which we will no longer process your personal data for such purposes.

K. Security of personal data

Your personal data is considered strictly personal. PLC CO.BR.HA. takes appropriate technical and organisational measures to protect personal data against destruction, loss, unintentional modification, damage, accidental or unlawful access or other unjustified data processing. In case of a personal data breach within PLC CO.BR.HA. and if this breach is found to pose a high risk to your rights and freedoms, we will inform you as soon as possible. Despite the security measures taken by PLC CO.BR.HA., third parties may still succeed in circumventing these measures and/or using your personal data for improper purposes. PLC CO.BR.HA. can never be held liable for this in any way. PLC CO.BR.HA. in no way accepts liability for any damage arising from the use of the personal data by third parties, to whom these data have been provided pursuant to this Privacy Notice or with your consent. Also, PLC CO.BR.HA. is not liable for any non-compliance with applicable laws and/or regulations (including privacy legislation) by these third parties.

L. Liability

## Next to the entry, the page also holds materials data
+++
For MgTi2Ni2O6, a cell relaxed with PBE+U gives the theoretical powder X-ray diffraction pattern in this record (copper Kα).
Kinematic intensities with the Lorentz-polarization factor, no thermal factor.

Most intense lines, 2θ = 10–90°, in order of falling intensity:
2θ (°)  Rel. int.
30.89  100
43.53  66
34.77  58
47.21  45
35.10  39
36.12  39
35.40  35
57.01  27
54.04  26
20.68  23

Crystal structure
Lattice parameters (Å, degrees): 5.1281 5.3174 5.4297 109.83 104.10 112.65
Positions (direct):
Mg (0.0000, 0.0000, 0.0000)
Ti (0.3804, 0.7465, 0.1902)
Ti (0.7192, 0.4797, 0.3955)
Ni (0.1720, 0.3804, 0.6165)
Ni (0.5758, 0.1606, 0.7738)
O (0.0965, 0.5871, 0.3632)
O (0.3574, 0.1522, 0.3985)
O (0.3767, 0.3492, 0.0069)
O (0.6353, 0.0028, 0.0719)
O (0.7305, 0.8763, 0.5664)
O (0.9506, 0.5683, 0.8295)

* * * * *

1.
Rb2W2Se5: theoretical powder diffraction line list (λ = 1.5418 Å (Cu Kα)), based on a cell relaxed with GGA-PBE.
Kinematic intensities with the Lorentz-polarization factor, no thermal factor.

Peak list (10 most intense, 15° ≤ 2θ ≤ 90°, in order of rising 2θ)
d (Å), Position (°2θ), I/Imax
5.811, 15.25, 654
3.985, 22.31, 1000
3.927, 22.64, 447
3.396, 26.24, 399
3.243, 27.50, 357
2.989, 29.90, 492
2.490, 36.08, 533
2.467, 36.42, 609
1.963, 46.24, 343
1.806, 50.54, 328

Crystal structure
Cell lengths 7.3161, 7.3161, 8.6828 Å; angles 98.98, 98.98, 39.42 degrees
Fractional coordinates of all 9 atoms:
Rb (0.0914, 0.0914, 0.3017)
Rb (0.9086, 0.9086, 0.6983)
W (0.3546, 0.3546, 0.1164)
W (0.6454, 0.6454, 0.8836)
Se (0.1909, 0.1909, 0.9359)
Se (0.3666, 0.3666, 0.3897)
Se (0.5000, 0.5000, 0.0000)
Se (0.6334, 0.6334, 0.6103)
Se (0.8091, 0.8091, 0.0641)

---

2.
RbYSe4: theoretical powder diffraction line list (λ = 1.5418 Å (Cu Kα)), based on a cell relaxed with GGA-PBE.
Kinematic intensities with the Lorentz-polarization factor, no thermal factor.

Peak list (10 most intense, 15° ≤ 2θ ≤ 90°, in order of rising 2θ)
d (Å), Position (°2θ), I/Imax
3.113, 28.68, 1000
2.901, 30.83, 170
2.681, 33.43, 831
2.552, 35.17, 324
2.365, 38.05, 235
2.021, 44.85, 127
1.992, 45.53, 418
1.722, 53.19, 222
1.481, 62.73, 224
1.405, 66.53, 136

Crystal structure
Cell lengths 6.3006, 6.3006, 8.7018 Å; angles 90.00, 90.00, 90.00 degrees
Fractional coordinates of all 12 atoms:
Rb (0.2500, 0.2500, 0.0000)
Rb (0.7500, 0.7500, 0.0000)
Y (0.2500, 0.2500, 0.5000)
Y (0.7500, 0.7500, 0.5000)
Se (0.1133, 0.6133, 0.3016)
Se (0.1133, 0.8867, 0.6984)
Se (0.3867, 0.6133, 0.6984)
Se (0.3867, 0.8867, 0.3016)
Se (0.6133, 0.1133, 0.6984)
Se (0.6133, 0.3867, 0.3016)
Se (0.8867, 0.1133, 0.3016)
Se (0.8867, 0.3867, 0.6984)

---

3.
Rb2Zn2Se3: theoretical powder diffraction line list (λ = 1.5418 Å (Cu Kα)), based on a cell relaxed with GGA-PBE.
Kinematic intensities with the Lorentz-polarization factor, no thermal factor.

Peak list (10 most intense, 15° ≤ 2θ ≤ 90°, in order of rising 2θ)
d (Å), Position (°2θ), I/Imax
3.632, 24.51, 419
3.593, 24.78, 756
3.417, 26.08, 219
3.234, 27.58, 668
+++

  • The liability of PLC CO.BR.HA. for indirect damages is excluded in all cases;
  • Any possible liability is limited to an amount not exceeding EUR 2,500 per event and not exceeding EUR 5,000 per calendar year;
  • The liability of PLC CO.BR.HA. shall otherwise in any event never exceed what is paid out by its insurance in the case in question.


The provisions contained in this section apply in addition to the general provisions (Part I) if and insofar as you use the PLC CO.BR.HA website. This Privacy Notice is posted on the website of PLC CO.BR.HA. and its affiliated companies. PLC CO.BR.HA. reserves the right to amend and update this Notice at any time. The website always shows the latest version.

A. Website

PLC CO.BR.HA.'s website is public and accessible worldwide. Any data subject may visit the website without communicating their personal data to PLC CO.BR.HA.

B. References and links

The website of PLC CO.BR.HA. contains references and/or hyperlinks to one or more websites of third parties. PLC CO.BR.HA. is in no way liable for the manner in which these third parties deal with privacy legislation. PLC CO.BR.HA. therefore recommends that you check the privacy policies of these third parties' websites so that you are aware of how these third parties handle your personal data.

C. Use of log files

PLC CO.BR.HA.'s website automatically collects certain non-identifiable information about visitors to its website, including the Internet Protocol (IP) address of your computer, the date and time of access to the website, the IP address of the Internet Service Provider, your operating system, the parts, information and pages of the website you have visited and/or viewed, as well as the material you forward or download from the website. This technical information is used to manage the website and to optimize the website and the services provided by PLC CO.BR.HA. In addition, this data may be used for historical, statistical or scientific purposes. The stored technical data may be passed on to third parties and may be permanently stored for future use.

D. Cookies


After you pass the age verification to enter the website, the website uses cookies. These are small data files sent by this website to your browser and written to the hard disk of your computer or mobile device. This data is used to identify the returning visitor to better tailor the website to them. This way, visitors will be able to log in faster and see any customized content. This way, you don't have to re-enter your personal data every time you visit this website. By default, most browsers are set to accept the use of cookies.

How to delete cookies?

If you wish to delete cookies, you should consult your browser manual. Within your browser, you also have the possibility to configure your cookie settings. You can set your browser to prevent the use of cookies, although this may mean that the site no longer works optimally. You can also ask your browser to warn you when a cookie is created, or to delete the cookies from your hard drive afterwards. This website uses the following cookies to improve accessibility and usability:

  • Google Analytics: to quickly identify errors, improve the user-friendliness of the website and continuously be aware of your information needs.
  • Through Google Analytics, we also collect information about website usage.
  • Javascript recognition: this website makes extensive use of Javascript. We use a cookie to check whether Javascript is enabled on your end.
  • Shopping cart: on the website you can order publications and products. We keep track of all publications and products you place in the shopping cart in a cookie.


If you have any questions, comments or complaints regarding this Privacy Notice and the way in which PLC CO.BR.HA. registers, uses and processes your data, you can communicate them by e-mail to or send a letter to Brewery Haacht, Legal Department, Provinciesteenweg 28, 3190 Boortmeerbeek.